
In this graduation project, we dealt with the question of how operating concepts within a modern tractor can be improved to make work easier for tractor drivers and to focus on their needs.


The basis for the project is the enormous variety and complexity of different operating concepts that tractor drivers currently encounter. You will encounter this variety both within the tractor manufacturers and within the implement manufacturers. Unfortunately, the majority of design decisions have so far been made on the basis of technical possibilities. As a result, tractor drivers and their needs have largely fallen by the wayside.

„I’m too stupid to use this.“
„No, we’re not too stupid, the bulldogs are too stupid.“
-two farmers in conversation at a training course

This leads to greater challenges and difficulties among users when handling the various functions. In addition to the stressful daily routine, learning various concepts leads to an increased workload and contributes to the existing mental burden in this professional group. Finding your way through the functional jungle requires a lot of patience and long „trial and error“ paths.


How might we help make everyday work easier for tractor drivers with the help of an intuitive operating system?


The settings that are important for preparing the work process are represented in the driver’s cab by the so-called terminal – in our concept a conventional tablet. This offers more flexibility than outdated built-in screens and already has familiar interaction patterns.

Within this tablet, we are in an application. Its structure is divided into a road mode, field mode and general settings. If an implement is attached, the field mode appears and provides all relevant information and settings, curated by the application. This allows tractor drivers to make settings and read information in a targeted manner.


While the joystick no longer has the highest priority in our concept as the majority of tasks that are currently still controlled manually can run autonomously, the manual control of the functions of the respective attachment is still relevant. We therefore decided to implement an uncomplicated interaction concept in the form of a display-based joystick.

The joystick automatically loads the controllable functions based on the attached implement. The x-axis is used to navigate through the various functions, which are sorted on the joystick display according to the work process. The corresponding functions can be triggered via the y-axis of the joystick.
The status of the currently selected function is shown in the center of our round joystick screen, while the operating directions are displayed at the top and bottom. To prevent operating errors and the resulting damage to the attachment, interdependent functions cannot be called up until the work step has been completed. These are displayed in a disabled state.


I implemented the joystick concept as a functional prototype using Arduino. The various hardware elements were packaged using a 3D printed element and brought into the joystick shape.
To make our concept easier to understand, we decided to connect the joystick to a tractor model. The tractor and seed drill can be controlled using different motors and can simulate the corresponding functions of the joystick.


In addition to the concept, my personal focus in this project was primarily on the realisation of the hardware prototype. I learned a lot about developing Arduino prototypes. As I had never worked on such a complex prototype before, this was a challenge that I consciously set myself in order to expand my skills and grow. 

In addition, we have never before practiced such a clear division of tasks as in this project. Handing over the other parts of the project so clearly and still developing a coherent overall concept together was a new experience.


Daisy Muntean, Viki Schmidt, Alina Remlinger


Prof. Carmen Hartmann-Menzel + Prof. David Oswald
Bachelor’s thesis
7th semester – 5 months

-- What comes next are records of molecules, not part of the article --
+++
99
Properties=species:S:1:pos:R:3:mulliken_charge:R:1 method="wB97M-V/def2-TZVPD" total_charge=+1 e_tot_ha=-4140.2502 relative_energy_kj_mol=346.9
Zr -0.0171 -1.5501 -1.1332 0.223
O 1.6279 -4.1182 0.7631 -0.766
S 1.2937 -2.6978 0.8963 1.388
C 2.8625 -1.8918 1.2394 -0.106
C 3.9089 -2.7163 1.6319 -0.526
C 5.1702 -2.1687 1.7957 -0.919
C 5.3826 -0.8166 1.5515 -0.933
C 4.3344 -0.0076 1.1482 -0.270
C 3.0599 -0.5422 0.9746 -0.331
P 1.5996 0.4914 0.6399 2.830
C 1.6232 1.3868 2.2463 1.160
C 1.6723 0.6130 3.4082 -0.688
C 1.8001 1.2105 4.6489 -0.587
C 1.8752 2.5941 4.7519 -0.803
C 1.8251 3.3680 3.6052 -0.706
C 1.7039 2.7696 2.3555 -0.766
C 2.0833 1.7069 -0.6146 0.085
C 1.2374 2.7970 -0.8393 -0.310
C 1.5092 3.6943 -1.8595 -0.962
C 2.6099 3.4963 -2.6832 -0.781
C 3.4279 2.3916 -2.4932 -0.842
C 3.1687 1.4969 -1.4635 -0.905
C 0.2965 -2.5518 2.3844 -0.154
C 0.8014 -3.2614 3.4663 -0.435
C 0.0327 -3.4331 4.6029 -1.052
C -1.2561 -2.9219 4.6352 -0.819
C -1.7529 -2.2158 3.5515 -0.388
C -0.9872 -1.9983 2.4058 0.240
P -1.6924 -0.9345 1.0761 2.123
C -1.7054 0.7080 1.9078 0.787
C -2.1921 1.8028 1.1908 -0.850
C -2.2868 3.0576 1.7713 -0.727
C -1.9117 3.2398 3.0956 -0.862
C -1.4475 2.1579 3.8250 -0.896
C -1.3411 0.9050 3.2350 0.014
C -3.4957 -1.2794 1.0728 0.820
C -4.0768 -2.1759 0.1770 -0.333
C -5.4477 -2.3842 0.1781 -0.804
C -6.2609 -1.6974 1.0665 -0.683
C -5.6957 -0.7953 1.9562 -0.869
C -4.3258 -0.5855 1.9579 -0.072
H 3.7343 -3.7754 1.7631 0.599
H 5.9929 -2.8015 2.0997 0.452
H 6.3705 -0.3934 1.6746 0.445
H 4.5006 1.0481 0.9724 0.572
H 1.6301 -0.4683 3.3507 0.245
H 1.8497 0.5932 5.5367 0.457
H 1.9832 3.0625 5.7213 0.405
H 1.8960 4.4458 3.6723 0.482
H 1.7054 3.3981 1.4780 0.512
H 0.3595 2.9435 -0.2187 0.416
H 0.8581 4.5445 -2.0156 0.452
H 2.8226 4.1967 -3.4800 0.429
H 4.2764 2.2254 -3.1440 0.473
H 3.8128 0.6374 -1.3271 0.467
H 1.7822 -3.7145 3.3969 0.498
H 0.4270 -3.9872 5.4436 0.468
H -1.8830 -3.0782 5.5027 0.459
H -2.7626 -1.8299 3.5948 0.510
H -2.5556 1.6779 0.1838 0.288
H -2.6770 3.8870 1.1949 0.491
H -1.9957 4.2148 3.5571 0.386
H -1.1631 2.2813 4.8610 0.487
H -0.9773 0.0807 3.8333 0.189
H -3.4645 -2.7096 -0.5292 0.023
H -5.8780 -3.0863 -0.5239 0.475
H -7.3307 -1.8591 1.0635 0.422
H -6.3206 -0.2489 2.6500 0.452
H -3.9098 0.1385 2.6473 0.456
C 1.0942 1.5773 -5.7608 -1.450
C 0.9492 0.1704 -5.1663 1.140
+++


Miro, Figma, InDesign, Arduino, Chat GPT, 3D-Printing, Laser cutting, Sewing & Woodworking